Gujarat Technological University: Computer Aided Design SUBJECT CODE: 3710802
Gujarat Technological University: Computer Aided Design SUBJECT CODE: 3710802
Gujarat Technological University: Computer Aided Design SUBJECT CODE: 3710802
No. 1
DFT (PBE) results for a relaxed Dy8Tl2Si crystal.

a = 19.031 Å, b = 5.086 Å, c = 6.701 Å
α = 90.00°, β = 104.11°, γ = 90.00°
Space group C2/m (No. 12)
One atom of each set of equivalent atoms:
Dy: 0.019 0.000 0.275 x4
Dy: 0.088 0.500 0.953 x4
Dy: 0.150 0.500 0.487 x4
Dy: 0.212 0.000 0.816 x4
Tl: 0.182 0.000 0.254 x4
Si: 0.000 0.500 0.500 x2

***

No. 2
DFT (PBE) results for a relaxed DyTlSi crystal.

a = 4.222 Å, b = 18.742 Å, c = 3.792 Å
α = 90.00°, β = 90.00°, γ = 90.00°
Space group Cmcm (No. 63)
One atom of each set of equivalent atoms:
Dy: 0.000 0.082 0.250 x4
Tl: 0.000 0.289 0.750 x4
Si: 0.000 0.460 0.250 x4

***

No. 3
DFT (PBE) results for a relaxed Dy6TlSi2 crystal.

a = 9.503 Å, b = 9.686 Å, c = 10.315 Å
α = 90.00°, β = 90.00°, γ = 90.00°
Space group Immm (No. 71)
One atom of each set of equivalent atoms:
Dy: 0.000 0.205 0.240 x8
Dy: 0.203 0.500 0.179 x8
Dy: 0.222 0.315 0.500 x8
Tl: 0.000 0.000 0.000 x2
Tl: 0.000 0.000 0.500 x2
Si: 0.000 0.370 0.000 x4
Si: 0.000 0.500 0.384 x4

***

No. 4
DFT (PBE) results for a relaxed DyTmSi crystal.

Summary:
**Distance to the lowest polymorph of the same formula**: 219.9 meV per atom

a = 8.940 Å, b = 11.464 Å, c = 13.325 Å
α = 90.00°, β = 90.00°, γ = 90.00°
Space group Fddd (No. 70, origin choice 2)
One atom of each set of equivalent atoms:
Dy: 0.125 0.125 0.256 x16
Tm: 0.000 0.000 0.500 x16
Si: 0.125 0.326 0.125 x16

***

No. 5
DFT (PBE) results for a relaxed DyTm4Si4 crystal.

a = 8.959 Å, b = 8.959 Å, c = 5.661 Å
α = 90.00°, β = 90.00°, γ = 90.00°
Space group P4_2/n (No. 86, origin choice 2)
One atom of each set of equivalent atoms:
Dy: 0.250 0.250 0.250 x2
Tm: 0.088 0.651 0.128 x8
Si: 0.031 0.607 0.630 x8

***

No. 6
DFT (PBE) results for a relaxed DyTmSi crystal.

Summary:
**Distance to the lowest polymorph of the same formula**: 164.6 meV per atom

a = 3.366 Å, b = 3.366 Å, c = 13.061 Å
α = 90.00°, β = 90.00°, γ = 90.00°
Space group I4mm (No. 107)
One atom of each set of equivalent atoms:
Dy: 0.000 0.000 0.000 x2
Tm: 0.000 0.000 0.723 x2
Si: 0.000 0.000 0.359 x2

***

no.,formation energy (no corrections) (eV per atom)
1,-0.2285
2,-0.4246
3,-0.5052
4,-0.3089
5,-0.4723
6,-0.3642

~~~~~

Tm3BiPt: optimized geometry, PBE-GGA.

```
10
Lattice="7.732 -2.091 0.000 7.732 2.091 0.000 -0.346 0.000 8.480" Properties=species:S:1:pos:R:3 pbc="T T T"
Tm 0.672 0.000 1.768
Tm 3.649 0.000 6.648
Tm 5.893 0.000 3.811
Tm 9.226 0.000 4.669
Tm 11.469 0.000 1.832
Tm 14.446 0.000 6.712
Bi 6.012 0.000 0.620
Bi 9.107 0.000 7.860
Pt 2.899 0.000 3.518
Pt 12.220 0.000 4.961
```

## Properties
- magnetic moment (μB per formula unit) = 0.000
- energy of formation from the pure elements (meV per atom) = -835
- space-group type = C2/m, No. 12
- calculated total energy (eV per atom) = -5.50



Tm6BiPt: optimized geometry, PBE-GGA.

```
8
Lattice="6.815 0.000 0.000 -3.406 5.908 0.000 -3.402 -1.970 6.462" Properties=species:S:1:pos:R:3 pbc="T T T"
Tm -0.893 -0.080 1.712
Tm -1.321 3.769 1.712
Tm -2.217 1.717 4.751
Rationale: The course is intended to provide exposure of modelling techniques for curves, surfaces
and solids. It also includes topics on feature based modelling, mass property calculations and
assembly modelling. Topic on CAD data formats and exchange standards is also included
Sr. Teaching Module
No. Hrs. Weightage
1 Conventional and computer aided design processes, Product Life 02 5%
Cycle and Role of CAD, Applications of CAD.
Principles of Computer Graphics:
Introduction, graphic primitives, Plotting of analytical Curves,
Coordinate systems, Half-Spaces and Homogeneous Coordinates,
2 2D (Translations, Rotation, Scaling and Shear) and 3D 08 15%
transformation (Translations, Rotation, Scaling, Shear, Orthographic
and Perspective Projections), Windows to View port transformation,
Introduction to curves, parametric continuity condition, geometric
continuity condition, Conics, Spline representation, Hermite Curves
(Algebraic and Geometric Forms, Basis Functions, Matrix Form,
Tangent Vectors, Truncating and Sub-dividing, 3-point and 4-point
**Someone pasted materials data at this point:**
........
[1]
Here is a geometry-optimized NbAs2PtO structure from Alexandria via LeMat-Bulk. Energies are from PBE-GGA.

a = 4.4428 Å, b = 4.4428 Å, c = 4.0470 Å
α = 90.00°, β = 90.00°, γ = 90.00°
Fractional coordinates of all 5 atoms:
Nb1 0.0000 0.0000 0.0000
As1 0.0000 0.5000 0.5000
As2 0.5000 0.0000 0.5000
Pt1 0.5000 0.5000 0.0000
O1 0.5000 0.5000 0.5000

Its formation energy without anion corrections is 21.6 kJ/mol of atoms.

---

[2]
Here is a geometry-optimized NbGaNi2 structure from Alexandria via LeMat-Bulk. Energies are from PBE-GGA.

a = 2.8115 Å, b = 2.8115 Å, c = 6.7698 Å
α = 90.00°, β = 90.00°, γ = 90.00°
Fractional coordinates of all 4 atoms:
Nb1 0.0000 0.0000 0.0000
Ga1 0.0000 0.0000 0.5000
Ni1 0.5000 0.5000 0.2778
Ni2 0.5000 0.5000 0.7222

Its formation energy is -0.31 eV/atom.

---

[3]
Here is a geometry-optimized La2YHo3Er6 structure from Alexandria via LeMat-Bulk. Energies are from PBE-GGA.

a = 6.1653 Å, b = 6.1653 Å, c = 11.7618 Å
α = 95.00°, β = 95.00°, γ = 119.97°
Fractional coordinates of all 12 atoms:
La1 0.1665 0.8335 0.0000
La2 0.8335 0.1665 0.0000
Y1 0.5000 0.5000 0.0000
Ho1 0.0000 0.0000 0.5000
Ho2 0.3336 0.6664 0.5000
Ho3 0.6664 0.3336 0.5000
Er1 0.0816 0.4143 0.7450
Er2 0.2532 0.2532 0.2552
Er3 0.4143 0.0816 0.7450
Er4 0.5857 0.9184 0.2550
Er5 0.7468 0.7468 0.7448
Er6 0.9184 0.5857 0.2550

Its formation energy is 0.03 eV/atom.

---

[4]
Here is a geometry-optimized K3U2CuSe6 structure from Alexandria via LeMat-Bulk. Energies are from PBE-GGA.

a = 7.1949 Å, b = 7.1949 Å, c = 8.0290 Å
α = 98.56°, β = 98.56°, γ = 119.98°
Fractional coordinates of all 12 atoms:
K1 0.0000 0.0000 0.0000
K2 0.3359 0.6641 0.0000
K3 0.6641 0.3359 0.0000
U1 0.1669 0.8331 0.5000
U2 0.8331 0.1669 0.5000
Cu1 0.5000 0.5000 0.5000
Se1 0.0996 0.4331 0.2992
Se2 0.2334 0.2334 0.6998
Se3 0.4331 0.0996 0.2992
Se4 0.5669 0.9004 0.7008
Se5 0.7666 0.7666 0.3002
Se6 0.9004 0.5669 0.7008

Its formation energy without anion corrections is -102.5 kJ/mol of atoms.

---

[5]
Here is a geometry-optimized Zr2ScFe structure from Alexandria via LeMat-Bulk. Energies are from PBE-GGA.

a = 5.4083 Å, b = 5.4083 Å, c = 5.4083 Å
α = 134.17°, β = 134.17°, γ = 66.82°
Fractional coordinates of all 4 atoms:
Zr1 0.0000 0.0000 0.0000
Zr2 0.7500 0.2500 0.5000
Sc1 0.5000 0.5000 0.0000
Fe1 0.2500 0.7500 0.5000

Its formation energy is 0.19 eV/atom.

---

[6]
Here is a geometry-optimized MnZn2In structure from Alexandria via LeMat-Bulk. Energies are from PBE-GGA.

a = 2.9865 Å, b = 4.5420 Å, c = 5.0657 Å
α = 90.00°, β = 92.00°, γ = 90.00°
Fractional coordinates of all 4 atoms:
Mn1 0.0000 0.0000 0.0000
Zn1 0.2934 0.5000 0.2146
Zn2 0.7066 0.5000 0.7854
In1 0.5000 0.0000 0.5000

Its formation energy is 0.18 eV/atom.

---

[7]
Here is a geometry-optimized Ti2HgH structure from Alexandria via LeMat-Bulk. Energies are from PBE-GGA.

a = 3.0878 Å, b = 3.0878 Å, c = 7.1758 Å
α = 102.52°, β = 102.52°, γ = 59.95°
Fractional coordinates of all 4 atoms:
Ti1 0.0000 0.0000 0.0000
........
3 interpolation), Bézier Curves (Bézier basis functions, control points, 08 25%
truncating and subdividing, composite Bézier curve, characteristics
of Bézier curve), B-Spline Curves (Uniform and Non-uniform B-
Spline basis function, Quadratic and Cubic B-Spline basis function,
Closed B-Spline Curve, Continuity, NURBS, Representation of
conics with NURBS)
Introduction, Implicit and explicit function of surfaces, types of
4 06 20%
surfaces, Surface Representation, Surface Analysis (Tangent,
Normal, Twist, Distance Calculation, Curvature, Tangent Plane),
Plane Surface, Ruled Surface, Surfaces of Revolution, Tabulated
Surfaces, Hermite Bi-cubic surface, Bézier Surface, Coons Surface,
Introduction, Solid Representation, Properties of Solid model,
5 Regularized Boolean set operations, Primitive instancing, Sweep 05 10%
representations, Boundary representations (B-rep), Constructive
Solid Geometry (CSG), Comparison of representations.
Advanced Topics:
Feature Based Modelling:
Features and primitives, Feature entities, 3D sketching, Feature
representation, Creating features, Parametrics, Relations and
constraints, Feature manipulations
Geometric and Mass Properties:
Geometric Properties, Calculate length of contours and curves,
6 Calculate areas, Calculate centroids, Calculate inertia properties, 10 20%
Mass Properties, Properties Evaluation.
Assembly Modelling:
Differences between part and assembly modelling, Mating
conditions, Bottom-up assembly modelling approach, Top-down
assembly modelling approach, WCS and mate methods to assemble
parts, Managing assemblies, Working with subassemblies, Assembly
CAD Database:
Evaluation of data — exchange format, IGES data
7 03 05%
representations and structure, STEP Architecture, implementation,
Reference Books:
1. Mastering CAD / CAM Ibrahim Zeid McGraw-Hill
2. Geometric Modelling M Mortenson Industrial Press.
3. CAD / CAM: Theory and Practice Ibrahim Zeid McGraw-Hill
4. Mathematical Elements of Computer Graphics David F Roger McGraw Hill
5. Computer Graphics: C Version Hearn and Baker Pretice Hall of India
6. Curves and Surfaces for CAGD: A Practical Guide 5/e, Gerald Farin Morgan Kaufmann
7. Computer Graphics and Geometric Modelling David Salomon Springer.
8. Computer Aided Engineering Design AnupamSaxena and Birendra Sahay Springer
9. Mechanical Assemblies: Their Design, Manufacture, and Role in Product Development D E
Whitney Oxford Press
Course Outcome:
After learning the course the students should be able to
1. Students will understand fundamentals of computer graphics and geometrical modelling.
2. Students will learn various techniques for surface and solid modelling.
3. Students will learn estimation of mass properties of model along with feature based modelling.
4. Students will learn assembly modelling and CAD data exchange.
List of Experiments:
Laboratory sessions should be conducted to include followings. Apart from conventional laboratory
sessions, students should be given topics from syllabus for which they should compile literature and
present the same.